== Excerpt ==
Below is a geometry-optimized Li4V2SiP2O12 structure, with properties calculated at the PBE+U level.

POSCAR file:
```
Li4V2SiP2O12
1.0
-5.8395 14.1524 -2.8683
-0.9922 -2.1653 -8.6988
-6.6441 1.1248 5.1609
O V P Si Li
48 8 8 4 16
Direct
0.2562 0.1372 0.5648 O
0.4911 0.8193 0.9506 O
0.5069 0.1781 0.0645 O
0.6300 0.7973 0.2695 O
0.1946 0.3256 0.9448 O
0.1211 0.7725 0.2302 O
0.4682 0.9440 0.7255 O
0.6973 0.2255 0.7685 O
0.6201 0.2791 0.2303 O
0.0519 0.7120 0.7275 O
0.5448 0.2169 0.7360 O
0.7830 0.9634 0.7661 O
0.0918 0.0202 0.9397 O
0.3702 0.2063 0.7312 O
0.7458 0.8637 0.4301 O
0.5311 0.0678 0.2797 O
0.4055 0.4842 0.0632 O
0.8375 0.1680 0.4386 O
0.3008 0.7728 0.2343 O
0.1582 0.8297 0.5606 O
0.7958 0.2556 0.2219 O
0.2018 0.7400 0.7764 O
0.0617 0.1249 0.5456 O
0.5641 0.6288 0.5453 O
0.2815 0.4618 0.7744 O
0.0301 0.5614 0.2711 O
0.6872 0.8335 0.9521 O
0.4451 0.3727 0.4449 O
0.3433 0.6736 0.4418 O
0.7208 0.5373 0.2198 O
0.8763 0.7024 0.7332 O
0.2198 0.0317 0.2238 O
0.8039 0.6758 0.0504 O
0.0045 0.6850 0.0680 O
0.8740 0.2206 0.7634 O
0.9705 0.4459 0.7290 O
0.5944 0.5170 0.9421 O
0.6536 0.3275 0.5625 O
0.3109 0.1718 0.0457 O
0.9896 0.3123 0.9495 O
0.9102 0.9800 0.0616 O
0.9456 0.2910 0.2792 O
0.1240 0.3028 0.2706 O
0.4535 0.7870 0.2732 O
0.9464 0.8706 0.4465 O
0.7610 0.6124 0.5473 O
0.2417 0.3846 0.4492 O
0.3759 0.7162 0.7692 O
0.9305 0.7126 0.9217 V
0.5709 0.7887 0.0722 V
0.3196 0.5411 0.5765 V
0.0679 0.2845 0.0760 V
0.8200 0.0379 0.5750 V
0.1791 0.9660 0.4257 V
0.6797 0.4645 0.4271 V
0.4277 0.2114 0.9274 V
0.7278 0.7201 0.2420 P
0.1264 0.8302 0.7502 P
0.0232 0.7257 0.2535 P
0.2727 0.2794 0.7543 P
0.3763 0.6739 0.2528 P
0.5230 0.2269 0.2554 P
0.6229 0.3285 0.7520 P
0.8726 0.1698 0.2503 P
0.9769 0.2732 0.7483 Si
0.4781 0.7730 0.7467 Si
0.2271 0.2256 0.2477 Si
0.7736 0.7729 0.7499 Si
0.8310 0.4255 0.7550 Li
0.4189 0.4248 0.7504 Li
0.5792 0.5890 0.2714 Li
0.4981 0.9974 0.5074 Li
0.2541 0.7640 0.9955 Li
0.3305 0.9323 0.7736 Li
0.3777 0.9523 0.2199 Li
0.6251 0.0358 0.7598 Li
0.1680 0.5706 0.2462 Li
0.0809 0.0912 0.2752 Li
0.9190 0.9160 0.7408 Li
0.6716 0.0686 0.2268 Li
0.7544 0.2428 0.9873 Li
0.1275 0.5182 0.7145 Li
0.9997 0.4940 0.5049 Li
0.8745 0.4640 0.2530 Li
```

Total DFT energy (no corrections) (eV per atom): -6.9770
Energy above the most stable polymorph in this dataset (meV/atom): 12
E_form (eV per atom): -2.7014
Spin magnetization (μB per formula unit): 4.0

~~~~~

A relaxed CaCO3 crystal. Source: the Materials Project, functional PBE-GGA.

Unit cell a=5.041 b=5.041 c=8.745 alpha=89.35 beta=89.35 gamma=59.60
Fractional coordinates of all 15 atoms:
Ca  0.347  0.323  0.334
Ca  0.017  0.983  0.000
Ca  0.677  0.653  0.666
C  0.689  0.651  0.169
C  0.349  0.311  0.831
C  0.009  0.991  0.500
O  0.609  0.051  0.834
O  0.092  0.310  0.826
O  0.348  0.569  0.833
O  0.431  0.652  0.167
O  0.009  0.733  0.500
O  0.267  0.991  0.500
O  0.690  0.908  0.174
O  0.949  0.391  0.166
O  0.749  0.251  0.500

Results
Energy   -7.484 eV/atom
Magnetization   0.00 μB/atom
Largest piezoelectric modulus   0.2 C/m²
SG   C2
Formation energy from the elements   -1293 kJ/mol of formula units
Calculated density   2.6 g cm⁻³

***

A relaxed MgTi3P3O13 crystal. Source: the Materials Project, functional PBE-GGA.

Unit cell a=6.416 b=7.731 c=10.242 alpha=80.26 beta=90.00 gamma=90.00
Fractional coordinates of all 40 atoms:
Mg  0.750  0.385  0.170
Mg  0.250  0.615  0.830
Ti  0.250  0.648  0.203
Ti  0.750  0.352  0.797
Ti  0.250  0.208  0.432
Ti  0.500  0.000  0.000
Ti  0.750  0.792  0.568
Ti  0.000  0.000  0.000
P  0.250  0.777  0.499
P  0.750  0.223  0.501
P  0.250  0.273  0.760
P  0.750  0.727  0.240
P  0.750  0.679  0.888
P  0.250  0.321  0.112
O  0.750  0.631  0.745
O  0.560  0.254  0.407
O  0.250  0.228  0.621
O  0.545  0.781  0.902
O  0.750  0.344  0.605
O  0.750  0.132  0.901
O  0.250  0.656  0.395
O  0.045  0.219  0.098
O  0.250  0.971  0.422
O  0.750  0.029  0.578
O  0.065  0.394  0.786
O  0.250  0.868  0.099
O  0.565  0.606  0.214
O  0.750  0.492  0.973
== Assignment ==
Duplicate the block earlier on from the first line to the one with "0.7502" word for word.
== Written answer ==
Below is a geometry-optimized Li4V2SiP2O12 structure, with properties calculated at the PBE+U level.

POSCAR file:
```
Li4V2SiP2O12
1.0
-5.8395 14.1524 -2.8683
-0.9922 -2.1653 -8.6988
-6.6441 1.1248 5.1609
O V P Si Li
48 8 8 4 16
Direct
0.2562 0.1372 0.5648 O
0.4911 0.8193 0.9506 O
0.5069 0.1781 0.0645 O
0.6300 0.7973 0.2695 O
0.1946 0.3256 0.9448 O
0.1211 0.7725 0.2302 O
0.4682 0.9440 0.7255 O
0.6973 0.2255 0.7685 O
0.6201 0.2791 0.2303 O
0.0519 0.7120 0.7275 O
0.5448 0.2169 0.7360 O
0.7830 0.9634 0.7661 O
0.0918 0.0202 0.9397 O
0.3702 0.2063 0.7312 O
0.7458 0.8637 0.4301 O
0.5311 0.0678 0.2797 O
0.4055 0.4842 0.0632 O
0.8375 0.1680 0.4386 O
0.3008 0.7728 0.2343 O
0.1582 0.8297 0.5606 O
0.7958 0.2556 0.2219 O
0.2018 0.7400 0.7764 O
0.0617 0.1249 0.5456 O
0.5641 0.6288 0.5453 O
0.2815 0.4618 0.7744 O
0.0301 0.5614 0.2711 O
0.6872 0.8335 0.9521 O
0.4451 0.3727 0.4449 O
0.3433 0.6736 0.4418 O
0.7208 0.5373 0.2198 O
0.8763 0.7024 0.7332 O
0.2198 0.0317 0.2238 O
0.8039 0.6758 0.0504 O
0.0045 0.6850 0.0680 O
0.8740 0.2206 0.7634 O
0.9705 0.4459 0.7290 O
0.5944 0.5170 0.9421 O
0.6536 0.3275 0.5625 O
0.3109 0.1718 0.0457 O
0.9896 0.3123 0.9495 O
0.9102 0.9800 0.0616 O
0.9456 0.2910 0.2792 O
0.1240 0.3028 0.2706 O
0.4535 0.7870 0.2732 O
0.9464 0.8706 0.4465 O
0.7610 0.6124 0.5473 O
0.2417 0.3846 0.4492 O
0.3759 0.7162 0.7692 O
0.9305 0.7126 0.9217 V
0.5709 0.7887 0.0722 V
0.3196 0.5411 0.5765 V
0.0679 0.2845 0.0760 V
0.8200 0.0379 0.5750 V
0.1791 0.9660 0.4257 V
0.6797 0.4645 0.4271 V
0.4277 0.2114 0.9274 V
0.7278 0.7201 0.2420 P
0.1264 0.8302 0.7502 P